(To do)
Now give back the material further down from the first line to the one with "Mn: 0.5007" verbatim.

(Source)
+++
The following is a computed X-ray diffraction stick pattern of K4LiMn4O8. It was derived from a crystal structure in Alexandria, relaxed with PBE+U, using Cu Kα, 1.54184 Å.
Kinematic intensities with the Lorentz-polarization factor, no thermal factor.

Structure:
Cell lengths 6.9402, 3.0034, 12.3329 Å; angles 90.00, 90.95, 90.00 degrees
Fractional coordinates of all 17 atoms:
K: 0.0000 0.0000 0.0000
K: 0.1588 0.0000 0.5547
K: 0.3678 0.5000 0.2799
K: 0.7881 0.5000 0.7472
Li: 0.7173 0.0000 0.1650
Mn: 0.3006 0.5000 0.8196
Mn: 0.5007 0.0000 0.9964
Mn: 0.6382 0.0000 0.4961
Mn: 0.8889 0.5000 0.3387
O: 0.0693 0.0000 0.3248
O: 0.1227 0.0000 0.7853
O: 0.2960 0.5000 0.9851
O: 0.4586 0.5000 0.5012
O: 0.4947 0.0000 0.8184
O: 0.6850 0.5000 0.0718
O: 0.6949 0.0000 0.3193
O: 0.8259 0.5000 0.5181
+++

(Here it is)
The following is a computed X-ray diffraction stick pattern of K4LiMn4O8. It was derived from a crystal structure in Alexandria, relaxed with PBE+U, using Cu Kα, 1.54184 Å.
Kinematic intensities with the Lorentz-polarization factor, no thermal factor.

Structure:
Cell lengths 6.9402, 3.0034, 12.3329 Å; angles 90.00, 90.95, 90.00 degrees
Fractional coordinates of all 17 atoms:
K: 0.0000 0.0000 0.0000
K: 0.1588 0.0000 0.5547
K: 0.3678 0.5000 0.2799
K: 0.7881 0.5000 0.7472
Li: 0.7173 0.0000 0.1650
Mn: 0.3006 0.5000 0.8196
Mn: 0.5007 0.0000 0.9964